How Vadic’s Hand Worked In Star Trek: Picard, Revealed
Terry Matalas has Tweeted some revealing information about Vadic's hand, stating that "The device Vadic cut her hand off on sent a subspace signal to the Collective so they could communicate."

A common industry idiom is that you don’t want to know how the sausage gets made. But in the case of Star Trek: Picard, we’re eager to learn what’s up with Vadic’s hand.
Though fans have had some theories about the HandBoss that have yet to be confirmed, showrunner Terry Matalas has Tweeted some revealing information, stating that “The device Vadic cut her hand off on sent a subspace signal to the Collective so they could communicate.”
In addition to revealing that Vadic’s hand sent signals using the device under it, Matalas also confirms the identity of the demonic face talking through her hand. The HandBoss is actually the Borg queen. It was the back of her head that we saw in Star Trek: Picard‘s most recent episode “Vox.
Vadic’s advanced physiology is the result of medical experiments endured by her and her loved ones during the Dominion War, and this presents a two-fold issue. Not only is Vadic primed for revenge against Starfleet, but she’s more powerful than your typical changeling, which quite literally gives her the upper hand.

Not only will Vadic’s hand evolve and reveal its true form, but we will learn who she’s reporting to. And whoever this may be revealed to be will be a frightening revelation. Vadic herself is already a very intimidating villain, so if she’s afraid to disobey orders from her faceless superior, then it goes without question that something far more sinister than we expected is going to reveal itself as the series approaches its conclusion.
# Between two parts of the article: calculated molecules
=====
Record 1
18
Properties=species:S:1:pos:R:3 method="wB97M-V/def2-TZVPD" smiles=C[C@@H](N)[C@@](N)(F)[NH+]([O-])[O-] fmax_ha_per_bohr=0.0938 lumo_energy_ev=3.75 gap_ev=7.1 de_lowest_kcal_mol=5.8 homo_energy_ev=-3.387 molar_mass_g_mol=138.12 total_charge=-1
F -2.0924 0.5102 0.2188
O -0.6823 1.7614 2.2814
O -0.4623 -0.5109 2.4657
N -0.2764 0.6083 1.8227
N -0.1346 1.6771 -0.4092
N 1.1933 -1.3891 0.1290
C -0.0892 -0.8588 -0.3022
C -0.1596 -0.8234 -1.8249
C -0.4740 0.5068 0.3024
H -1.1251 -0.4327 -2.1728
H 1.9571 -0.7543 -0.1170
H -0.0050 -1.8381 -2.2178
H 0.8060 0.6550 1.3600
H 0.8103 1.6297 -0.8095
H 0.6248 -0.1725 -2.2408
H -0.8549 -1.5345 0.1031
H -0.2029 2.4442 0.2649
H 1.1672 -1.4784 1.1461

Record 2
26
Properties=species:S:1:pos:R:3 method="wB97M-V/def2-TZVPD" fmax_ha_per_bohr=0.0310 lumo_energy_ev=-3.19 gap_ev=9.2 de_lowest_kcal_mol=1.3 homo_energy_ev=-12.414 molar_mass_g_mol=234.66 total_charge=+1
Rb 2.5325 -2.3799 -1.3552
O -0.1764 0.9768 2.1288
O -0.0650 -1.5883 -2.4950
N -2.2077 -1.1518 -3.1940
N 1.6284 -0.5751 0.7825
N -1.7068 -3.1324 -2.1423
C 1.6777 0.9033 0.6602
C -0.9193 1.6765 3.0985
C 0.9493 1.2841 -0.6183
C 1.0899 1.5811 1.8667
C -1.2523 -1.9337 -2.6180
H 0.9592 2.6646 1.8288
H -0.1134 1.0326 -0.5917
H 1.7155 1.3519 2.7441
H 1.0073 2.3329 -0.9216
H -2.4980 -3.5304 -2.6322
H -3.1617 -1.4407 -3.1131
H 2.2140 -0.8160 1.5863
H -1.0812 -3.8726 -1.8817
H -0.3352 1.8612 4.0088
H 1.3634 0.7824 -1.5001
H 0.6898 -0.7515 1.1493
H -1.9841 -0.1920 -3.3827
H -1.2733 2.6251 2.6867
H 2.7042 1.2287 0.4807
H -1.7569 1.0632 3.4246

Record 3
58
Properties=species:S:1:pos:R:3 method="wB97M-V/def2-TZVPD" fmax_ha_per_bohr=0.3549 lumo_energy_ev=-0.12 gap_ev=6.5 de_lowest_kcal_mol=49.2 homo_energy_ev=-6.606 molar_mass_g_mol=466.08 total_charge=0
Cl -9.5356 -2.6638 0.3491
S 2.6819 2.0155 0.3410
S -3.6732 3.4912 -0.4621
O 6.6875 0.3361 1.1668
N 4.8243 -1.3287 -0.1967
N -1.8352 1.8530 0.7117
N 0.4465 0.9882 -0.6242
N -3.9773 0.9108 0.4704
N 2.3998 -0.4400 -0.1113
C -8.4794 -1.3188 0.4704
C -6.1049 -0.9453 0.6254
C 1.8587 0.6951 -0.1707
C 3.1052 -2.1082 -1.6445
C -7.1676 -1.7807 0.6928
C -0.7021 -0.0979 0.0242
C 0.0804 2.2105 -0.9835
C 6.1720 0.5337 -0.0055
C -5.2006 2.9190 -0.3659
C -7.6940 0.9351 -0.2258
C 4.3542 -2.4096 -1.0693
C -6.3094 0.5245 0.1231
C -3.0442 2.0126 0.4143
C 5.7765 -0.3491 -0.7800
C -5.2243 1.3666 0.0589
C -8.5186 -0.1983 -0.1000
C -1.2817 0.6718 1.0992
C 1.9826 -1.8141 -1.1279
C 5.8847 -0.4403 1.9809
C 5.5971 -1.8833 1.0815
C -0.9036 2.8334 0.4008
H 5.2197 -0.0485 -1.8110
H -6.0709 3.2874 -0.5324
H -0.7794 1.9639 -1.5881
H 6.3506 -2.3081 0.9877
H 4.0328 -3.1264 -0.2381
H 6.5963 -0.8629 2.7821
H 6.8966 1.2142 -0.3374
H 1.6767 -2.6991 -0.3859
H -1.3405 -0.2444 -0.7990
H -0.2760 -1.0177 0.2403
H -9.4609 -0.0109 -0.5535
H 5.0001 -0.0637 2.3914
H -7.7619 1.8849 -0.8079
H -5.1657 -0.9930 0.8584
H 6.5941 -0.9893 -1.0390
H 0.0026 2.9395 1.0904
H 3.4724 -0.9396 -2.6468
H 4.8355 -2.4950 1.5567
H 3.0225 -2.7663 -2.5082
H 0.8312 2.7126 -1.1065
=====
# Back to the article
By the looks of it, Terry Matalas has been having quite a bit of fun interacting with fans of Star Trek on Twitter. This most recent revelation about Vadic’s hand only helps in weaving a rich tapestry of what’s to come.
Twitter user @Kernow_Tales expressed how happy he is about the plot points being explained by the showrunner himself, and up to this point didn’t think Twitter was even a viable platform to connect with his favorite franchise.
Up to this point, Star Trek: Picard has been a satisfying watch, and it’s safe to say that they’re saving the best of the series for the final episodes to keep us on the edge of our seats. Now that we know that Vadic’s hand is controlled by unknown forces, we’re going to have to reconsider the reach and power of the Borg, and what the “collective” truly means in this context.
Though we’re not sure of the status of Star Trek: Legacy, we hope that any questions left unanswered by Picard’s conclusion will eventually come to light and be explored further.
The final two episodes of Picard are playing in 10 IMAX theaters one day ahead of the final episodes Paramount+ release on April 20, 2023.